**Job**
Repeat everything further down word for word, please.

**Data**
~~~
Starting from a crystal structure in the Materials Project, relaxed with GGA-PBE, the X-ray diffraction stick pattern of NaZr2SN2Cl was simulated for CuKα.
Kinematic intensities with the Lorentz-polarization factor, no thermal factor.

Principal peaks in the range 15° ≤ 2θ ≤ 90°, in order of rising 2θ:
2θ (°)  d_spacing  I (rel.)  hkl
28.60  3.121  31  1 2 -1
31.59  2.832  50  1 0 2
31.77  2.817  100  2 2 -1
35.00  2.564  28  3 0 -2
35.86  2.504  19  4 0 0
41.20  2.191  34  3 2 1
41.29  2.187  17  4 0 -2
49.33  1.847  36  1 2 -3
49.50  1.841  18  0 4 0
59.88  1.545  29  1 4 2

Structure:
Unit cell a=10.2334 b=7.3652 c=6.4057 alpha=90.00 beta=101.78 gamma=90.00
Space group P2_1/c (No. 14)
Inequivalent atoms, fractional coordinates:
Na 0.0051 0.1250 0.2592 [4 per cell]
Zr 0.3684 0.1334 0.0274 [4 per cell]
Zr 0.3739 0.6190 0.0542 [4 per cell]
S 0.1915 0.1227 0.6470 [4 per cell]
N 0.4120 0.6333 0.4020 [4 per cell]
N 0.4130 0.1149 0.3736 [4 per cell]
Cl 0.1727 0.6283 0.6398 [4 per cell]

Starting from a crystal structure in the Materials Project, relaxed with GGA-PBE, the X-ray diffraction stick pattern of Na2SO9 was simulated for CuKα.
Kinematic intensities with the Lorentz-polarization factor, no thermal factor.

Principal peaks in the range 15° ≤ 2θ ≤ 90°, in order of rising 2θ:
2θ (°)  d_spacing  I (rel.)  hkl
16.54  5.359  51  1 1 0
24.62  3.617  30  2 0 1
27.32  3.264  26  2 1 1
29.51  3.027  35  0 0 4
30.22  2.958  100  2 1 2
32.41  2.763  25  2 0 3
34.56  2.596  37  2 1 3
37.53  2.397  55  3 1 0
38.28  2.351  36  3 1 1
45.19  2.006  24  2 2 4

Structure:
Unit cell a=7.5793 b=7.5793 c=12.1075 alpha=90.00 beta=90.00 gamma=90.00
Space group P4_322 (No. 95)
Inequivalent atoms, fractional coordinates:
Na 0.0000 0.2005 0.0000 [4 per cell]
Na 0.2779 0.5000 0.7500 [4 per cell]
S 0.3456 0.5000 0.2500 [4 per cell]
O 0.0107 0.4766 0.4490 [8 per cell]
O 0.0743 0.2466 0.7576 [8 per cell]
O 0.1351 0.1405 0.8301 [8 per cell]
O 0.3240 0.3240 0.1250 [4 per cell]
O 0.3666 0.4450 0.9349 [8 per cell]

* * * * *

1.
Starting from a DFT-relaxed cell (GGA-PBE, Alexandria), the X-ray diffraction stick pattern of SmTh2Si6 was calculated for Cu Ka.
Neutral-atom scattering factors, no anomalous dispersion.

Lattice parameters (Å, degrees): 7.133 7.133 4.158 90.00 90.00 120.00
Sites, in units of the cell vectors:
1 Sm 0.000 0.000 0.000
2 Th 0.333 0.667 0.000
3 Th 0.667 0.333 0.000
4 Si 0.000 0.333 0.500
5 Si 0.000 0.667 0.500
6 Si 0.333 0.000 0.500
7 Si 0.333 0.333 0.500
8 Si 0.667 0.000 0.500
9 Si 0.667 0.667 0.500

Top 10 peaks for 10° ≤ 2θ ≤ 90°, by intensity:
Position (°2θ)  I (rel.)
33.09  100
24.97  56
43.97  29
56.12  23
73.91  20
63.60  20
21.37  18
50.84  17
49.39  13
73.28  10



2.
Starting from a DFT-relaxed cell (GGA-PBE, Alexandria), the X-ray diffraction stick pattern of Be4Si23 was calculated for Cu Ka.
Neutral-atom scattering factors, no anomalous dispersion.

Lattice parameters (Å, degrees): 10.168 10.168 10.168 90.00 90.00 90.00
Sites, in units of the cell vectors:
1 Be 0.000 0.000 0.000
2 Be 0.000 0.250 0.500
3 Be 0.000 0.750 0.500
4 Be 0.250 0.500 0.000
5 Be 0.500 0.000 0.250
6 Be 0.500 0.000 0.750
7 Be 0.500 0.500 0.500
8 Be 0.750 0.500 0.000
9 Si 0.000 0.309 0.116
10 Si 0.000 0.309 0.884
11 Si 0.000 0.500 0.250
12 Si 0.000 0.500 0.750
13 Si 0.000 0.691 0.116
14 Si 0.000 0.691 0.884
15 Si 0.116 0.000 0.309
16 Si 0.116 0.000 0.691
17 Si 0.183 0.183 0.183
18 Si 0.183 0.183 0.817
19 Si 0.183 0.817 0.183
20 Si 0.183 0.817 0.817
21 Si 0.191 0.500 0.384
22 Si 0.191 0.500 0.616
23 Si 0.250 0.000 0.500
24 Si 0.309 0.116 0.000
25 Si 0.309 0.884 0.000
26 Si 0.317 0.317 0.317
27 Si 0.317 0.317 0.683
28 Si 0.317 0.683 0.317
29 Si 0.317 0.683 0.683
30 Si 0.384 0.191 0.500
31 Si 0.384 0.809 0.500
32 Si 0.500 0.250 0.000
33 Si 0.500 0.384 0.191
34 Si 0.500 0.384 0.809
35 Si 0.500 0.616 0.191
36 Si 0.500 0.616 0.809
37 Si 0.500 0.750 0.000
38 Si 0.616 0.191 0.500
39 Si 0.616 0.809 0.500
40 Si 0.683 0.317 0.317
41 Si 0.683 0.317 0.683
~~~

**Response**
Starting from a crystal structure in the Materials Project, relaxed with GGA-PBE, the X-ray diffraction stick pattern of NaZr2SN2Cl was simulated for CuKα.
Kinematic intensities with the Lorentz-polarization factor, no thermal factor.

Principal peaks in the range 15° ≤ 2θ ≤ 90°, in order of rising 2θ:
2θ (°)  d_spacing  I (rel.)  hkl
28.60  3.121  31  1 2 -1
31.59  2.832  50  1 0 2
31.77  2.817  100  2 2 -1
35.00  2.564  28  3 0 -2
35.86  2.504  19  4 0 0
41.20  2.191  34  3 2 1
41.29  2.187  17  4 0 -2
49.33  1.847  36  1 2 -3
49.50  1.841  18  0 4 0
59.88  1.545  29  1 4 2

Structure:
Unit cell a=10.2334 b=7.3652 c=6.4057 alpha=90.00 beta=101.78 gamma=90.00
Space group P2_1/c (No. 14)
Inequivalent atoms, fractional coordinates:
Na 0.0051 0.1250 0.2592 [4 per cell]
Zr 0.3684 0.1334 0.0274 [4 per cell]
Zr 0.3739 0.6190 0.0542 [4 per cell]
S 0.1915 0.1227 0.6470 [4 per cell]
N 0.4120 0.6333 0.4020 [4 per cell]
N 0.4130 0.1149 0.3736 [4 per cell]
Cl 0.1727 0.6283 0.6398 [4 per cell]

Starting from a crystal structure in the Materials Project, relaxed with GGA-PBE, the X-ray diffraction stick pattern of Na2SO9 was simulated for CuKα.
Kinematic intensities with the Lorentz-polarization factor, no thermal factor.

Principal peaks in the range 15° ≤ 2θ ≤ 90°, in order of rising 2θ:
2θ (°)  d_spacing  I (rel.)  hkl
16.54  5.359  51  1 1 0
24.62  3.617  30  2 0 1
27.32  3.264  26  2 1 1
29.51  3.027  35  0 0 4
30.22  2.958  100  2 1 2
32.41  2.763  25  2 0 3
34.56  2.596  37  2 1 3
37.53  2.397  55  3 1 0
38.28  2.351  36  3 1 1
45.19  2.006  24  2 2 4

Structure:
Unit cell a=7.5793 b=7.5793 c=12.1075 alpha=90.00 beta=90.00 gamma=90.00
Space group P4_322 (No. 95)
Inequivalent atoms, fractional coordinates:
Na 0.0000 0.2005 0.0000 [4 per cell]
Na 0.2779 0.5000 0.7500 [4 per cell]
S 0.3456 0.5000 0.2500 [4 per cell]
O 0.0107 0.4766 0.4490 [8 per cell]
O 0.0743 0.2466 0.7576 [8 per cell]
O 0.1351 0.1405 0.8301 [8 per cell]
O 0.3240 0.3240 0.1250 [4 per cell]
O 0.3666 0.4450 0.9349 [8 per cell]

* * * * *

1.
Starting from a DFT-relaxed cell (GGA-PBE, Alexandria), the X-ray diffraction stick pattern of SmTh2Si6 was calculated for Cu Ka.
Neutral-atom scattering factors, no anomalous dispersion.

Lattice parameters (Å, degrees): 7.133 7.133 4.158 90.00 90.00 120.00
Sites, in units of the cell vectors:
1 Sm 0.000 0.000 0.000
2 Th 0.333 0.667 0.000
3 Th 0.667 0.333 0.000
4 Si 0.000 0.333 0.500
5 Si 0.000 0.667 0.500
6 Si 0.333 0.000 0.500
7 Si 0.333 0.333 0.500
8 Si 0.667 0.000 0.500
9 Si 0.667 0.667 0.500

Top 10 peaks for 10° ≤ 2θ ≤ 90°, by intensity:
Position (°2θ)  I (rel.)
33.09  100
24.97  56
43.97  29
56.12  23
73.91  20
63.60  20
21.37  18
50.84  17
49.39  13
73.28  10



2.
Starting from a DFT-relaxed cell (GGA-PBE, Alexandria), the X-ray diffraction stick pattern of Be4Si23 was calculated for Cu Ka.
Neutral-atom scattering factors, no anomalous dispersion.

Lattice parameters (Å, degrees): 10.168 10.168 10.168 90.00 90.00 90.00
Sites, in units of the cell vectors:
1 Be 0.000 0.000 0.000
2 Be 0.000 0.250 0.500
3 Be 0.000 0.750 0.500
4 Be 0.250 0.500 0.000
5 Be 0.500 0.000 0.250
6 Be 0.500 0.000 0.750
7 Be 0.500 0.500 0.500
8 Be 0.750 0.500 0.000
9 Si 0.000 0.309 0.116
10 Si 0.000 0.309 0.884
11 Si 0.000 0.500 0.250
12 Si 0.000 0.500 0.750
13 Si 0.000 0.691 0.116
14 Si 0.000 0.691 0.884
15 Si 0.116 0.000 0.309
16 Si 0.116 0.000 0.691
17 Si 0.183 0.183 0.183
18 Si 0.183 0.183 0.817
19 Si 0.183 0.817 0.183
20 Si 0.183 0.817 0.817
21 Si 0.191 0.500 0.384
22 Si 0.191 0.500 0.616
23 Si 0.250 0.000 0.500
24 Si 0.309 0.116 0.000
25 Si 0.309 0.884 0.000
26 Si 0.317 0.317 0.317
27 Si 0.317 0.317 0.683
28 Si 0.317 0.683 0.317
29 Si 0.317 0.683 0.683
30 Si 0.384 0.191 0.500
31 Si 0.384 0.809 0.500
32 Si 0.500 0.250 0.000
33 Si 0.500 0.384 0.191
34 Si 0.500 0.384 0.809
35 Si 0.500 0.616 0.191
36 Si 0.500 0.616 0.809
37 Si 0.500 0.750 0.000
38 Si 0.616 0.191 0.500
39 Si 0.616 0.809 0.500
40 Si 0.683 0.317 0.317
41 Si 0.683 0.317 0.683